**Activity:**
Next, search the listing further down for the word "polymorph" and set down each line that has it.

**Input:**
+++
DFT (GGA-PBE) results for crystalline La3TaBr at its relaxed geometry.

```
La3TaBr
1.0
-3.373 3.271 3.284
-4.473 -3.362 -1.245
1.216 -3.295 4.531
Ta La Br
1 3 1
Cartesian
0.000 0.000 0.000
-1.686 1.635 1.642
-2.236 -1.681 -0.622
0.608 -1.647 2.265
-3.315 -1.693 3.285
```

The energy relative to the lowest polymorph listed for this composition comes out at 0 meV/atom. The volume comes out at 188.36 Å³ per cell. Its space-group type is No. 221. The total energy comes out at -5.48 eV/atom. For the uncorrected formation energy, the calculation gives 0.179 eV per atom.

---

DFT (GGA-PBE) results for crystalline SrSc2Zn9 at its relaxed geometry.

```
SrSc2Zn9
1.0
-2.086 -4.945 0.794
0.712 -3.876 -3.729
6.660 -5.327 2.862
Zn Sr Sc
9 1 2
Cartesian
6.148 -8.249 1.854
5.195 -6.617 -0.024
0.091 -7.531 -0.049
1.531 -6.980 -2.377
2.643 -7.074 -0.037
3.755 -7.167 2.304
4.122 -9.162 0.384
1.165 -4.986 -0.458
-0.862 -5.899 -1.927
0.000 0.000 0.000
3.523 -4.275 1.169
1.763 -9.872 -1.243
```

The volume comes out at 214.98 Å³ per cell. Its space-group type is No. 166. The total energy comes out at -2.42 eV/atom.

---

DFT (GGA-PBE) results for crystalline TiAg2 at its relaxed geometry.

```
TiAg2
1.0
2.896 0.000 0.000
0.000 2.896 0.000
0.000 0.000 12.616
Ag Ti
4 2
Cartesian
0.000 1.448 5.244
1.448 0.000 3.092
0.000 1.448 9.525
1.448 0.000 7.372
0.000 1.448 0.945
1.448 0.000 11.672
```

The volume comes out at 105.84 Å³ per cell. Its space-group type is No. 129. The total energy comes out at -4.55 eV/atom.

* * * * *

Entry 1:
PBE-GGA CsGe, relaxed; DOS at the Fermi energy = 4.586 states/eV/cell; calculated volume = 482.3 Å³/cell; VASP energy = -2.007 eV/atom; symmetry = Fm-3m, No. 225; mass density = 2.83 g/cm3
1.0
7.842 0.000 0.000
0.000 7.842 0.000
0.000 0.000 7.842
Cs Ge
4 4
direct
0.500 0.500 0.500
0.500 0.000 0.000
0.000 0.500 0.000
0.000 0.000 0.500
0.000 0.000 0.000
0.000 0.500 0.500
0.500 0.000 0.500
0.500 0.500 0.000

---

Entry 2:
PBE-GGA Cs3Ge4, relaxed; DOS at the Fermi energy = 1.644 states/eV/cell; calculated volume = 263.0 Å³/cell; VASP energy = -3.137 eV/atom; symmetry = Immm, No. 71; mass density = 4.35 g/cm3
1.0
-2.099 -3.370 -1.156
4.714 -1.773 -3.387
2.603 -2.673 10.459
Cs Ge
3 4
direct
0.500 0.000 0.000
0.185 0.185 0.370
0.815 0.815 0.630
0.060 0.560 0.119
0.940 0.440 0.881
0.626 0.626 0.253
0.374 0.374 0.747

---

Entry 3:
PBE-GGA CsGe2, relaxed; DOS at the Fermi energy = 4.405 states/eV/cell; calculated volume = 166.6 Å³/cell; VASP energy = -3.135 eV/atom; symmetry = Fd-3m, No. 227; mass density = 5.55 g/cm3
1.0
-1.295 3.816 -4.681
-3.984 -1.737 -4.388
-5.557 2.672 -0.359
Cs Ge
2 4
direct
0.000 0.000 0.000
0.250 0.250 0.250
0.125 0.625 0.625
0.625 0.125 0.625
0.625 0.625 0.625
0.625 0.625 0.125

---

Entry 4:
PBE-GGA CsGe6, relaxed; DOS at the Fermi energy = 2.442 states/eV/cell; calculated volume = 187.7 Å³/cell; VASP energy = -4.120 eV/atom; symmetry = Im-3m, No. 229; mass density = 5.03 g/cm3
1.0
6.247 0.000 0.000
-2.082 5.890 0.000
-2.082 -2.945 5.101
Cs Ge
1 6
direct
0.000 0.000 0.000
0.250 0.750 0.500
0.500 0.750 0.250
0.250 0.500 0.750
0.750 0.250 0.500
0.500 0.250 0.750
0.750 0.500 0.250

---

Entry 5:
PBE-GGA CsGe, relaxed; calculated volume = 1566.2 Å³/cell; VASP energy = -2.761 eV/atom; symmetry = Fddd, No. 70; mass density = 3.49 g/cm3
1.0
14.834 0.000 0.000
0.000 8.348 0.000
0.000 0.000 12.648
Cs Ge
16 16
direct
0.000 0.000 0.199
0.000 0.000 0.801
0.250 0.750 0.051
0.250 0.750 0.449
0.000 0.500 0.699
0.000 0.500 0.301
0.250 0.250 0.551
0.250 0.250 0.949
0.500 0.000 0.699
0.500 0.000 0.301
0.750 0.750 0.551
0.750 0.750 0.949
0.500 0.500 0.199
0.500 0.500 0.801
0.750 0.250 0.051
0.750 0.250 0.449
0.000 0.365 0.000
0.000 0.635 0.000
0.250 0.385 0.250
0.250 0.115 0.250
0.000 0.865 0.500
0.000 0.135 0.500
0.250 0.885 0.750
0.250 0.615 0.750
0.500 0.365 0.500
0.500 0.635 0.500
0.750 0.385 0.750
0.750 0.115 0.750
0.500 0.865 0.000
0.500 0.135 0.000
0.750 0.885 0.250
0.750 0.615 0.250

---

Entry 6:
+++

**Written answer:**
The energy relative to the lowest polymorph listed for this composition comes out at 0 meV/atom. The volume comes out at 188.36 Å³ per cell. Its space-group type is No. 221. The total energy comes out at -5.48 eV/atom. For the uncorrected formation energy, the calculation gives 0.179 eV per atom.